-- Material --
'''
20
Properties=species:S:1:pos:R:3:mulliken_charge:R:1 method="wB97M-V/def2-TZVPD" e_lumo_ev=-1.06 spin_multiplicity=1 largest_force_ev_per_a=4.6 total_charge=0 total_energy_ha=-1348.57159 homo_ev=-8.46 mol_weight_g_mol=515.86 gap_ev=7.41
C 2.09542 0.41406 0.11863 -0.49
C 1.53086 -0.52595 -0.75182 0.68
C 0.53813 -1.13007 -0.05524 -0.25
C 2.12082 -0.99417 -1.98914 -0.33
C 1.38732 1.12126 2.37776 -0.78
C -3.57184 0.03736 -1.20038 -0.63
C -3.59247 -0.58861 0.07296 -0.32
N 0.39440 -0.56724 1.15840 -0.82
N 1.25157 0.37823 1.15814 0.72
O 2.97753 -0.41114 -2.60908 -0.49
I -2.65384 2.01768 -1.63189 -0.01
I -0.67799 -2.71550 -0.52213 0.20
I -3.16263 0.52072 1.69744 0.20
H 3.01705 0.92590 0.05841 0.47
H 1.74751 -1.94604 -2.48233 0.23
H 0.39623 1.02674 3.02692 0.23
H 2.15040 0.74416 3.03559 0.35
H 1.61920 2.29256 2.37585 0.28
H -4.51995 -0.07582 -1.73390 0.46
H -3.04771 -0.52411 -2.10418 0.29

=====

[1]
{
  "formula": "C5H11ClN3O2",
  "method": "ωB97M-V with the def2-TZVPD basis set",
  "symbols": ["C", "C", "C", "C", "C", "N", "N", "N", "O", "O", "Cl", "H", "H", "H", "H", "H", "H", "H", "H", "H", "H", "H"],
  "positions_angstrom": [[0.3063, 0.0233, -3.0475], [-0.5293, -1.1943, -2.5546], [0.9127, 0.1215, -1.6397], [-1.3302, 1.5439, 2.1988], [0.7423, 0.3459, 2.4624], [-0.2790, -1.8025, 0.9747], [0.1264, -1.0316, -1.2206], [-0.1593, -1.3180, -0.0454], [-0.6917, 0.4730, 2.6709], [1.0522, -1.0730, 2.3324], [-1.3865, 1.6075, 0.4183], [0.8782, -0.2663, -3.9364], [-0.2447, 1.0005, -3.2764], [-1.5635, -1.0722, -2.3985], [-0.3495, -2.0639, -3.1493], [1.8987, -0.2157, -1.5243], [0.6834, 1.1385, -1.3242], [0.8278, -1.6109, 3.0965], [-1.0268, 2.5849, 2.6212], [-2.4637, 1.3796, 2.5418], [1.0550, 0.8242, 1.5049], [1.5415, 0.6057, 3.2950]],
  "charge": 1,
  "homo_lumo_gap_ev": 10.301,
  "e_above_lowest_kj_mol": 0.0
}



[2]
{
  "formula": "C5H11ClNO",
  "method": "ωB97M-V with the def2-TZVPD basis set",
  "symbols": ["C", "C", "C", "C", "C", "N", "O", "Cl", "H", "H", "H", "H", "H", "H", "H", "H", "H", "H", "H"],
  "positions_angstrom": [[1.8571, -0.3840, -0.3723], [0.1853, 1.8630, -0.4425], [-0.7594, -0.3083, -1.4172], [-0.6786, -1.4237, 1.2807], [0.0196, 0.3740, -0.3388], [-0.3674, 0.0024, 1.0517], [2.2248, -1.0654, -1.2470], [2.6982, 0.1303, 1.0341], [-0.7664, 2.3720, -0.2845], [0.5363, 2.1317, -1.4347], [0.9017, 2.2393, 0.2843], [-0.4916, 0.1190, -2.3790], [-1.8312, -0.1626, -1.2774], [-0.5504, -1.3732, -1.4652], [-0.7985, -1.6102, 2.3468], [-1.5965, -1.7012, 0.7707], [0.1343, -2.0396, 0.9059], [-1.1682, 0.5753, 1.3508], [0.4510, 0.2611, 1.6336]],
  "spin_multiplicity": 3,
  "charge": 1,
  "homo_lumo_gap_ev": [6.571, 8.223],
  "e_above_lowest_kj_mol": 8.1
}



[3]
{
  "formula": "C5H11ClNOP",
  "method": "ωB97M-V with the def2-TZVPD basis set",
  "symbols": ["C", "C", "C", "C", "C", "N", "O", "P", "Cl", "H", "H", "H", "H", "H", "H", "H", "H", "H", "H", "H"],
  "positions_angstrom": [[-1.2418, 0.2789, 0.3526], [1.0560, -0.9282, 0.0919], [-0.0945, -0.0457, -0.5519], [0.4294, 1.3122, -1.1857], [-0.7216, -0.9009, -1.6903], [0.1060, 1.1395, 2.3047], [1.7505, -0.3234, 1.1597], [1.2054, 0.0568, 2.6856], [-0.0252, -1.6503, 2.8732], [-1.4871, 1.3134, 0.3400], [-1.9603, -0.4397, 0.6719], [0.5195, -1.7071, 0.5072], [1.7905, -1.2807, -0.6284], [1.4574, 1.1403, -1.5670], [0.5182, 1.9296, -0.2998], [-0.3005, 1.6158, -1.9018], [-1.3899, -0.2191, -2.1823], [-1.3033, -1.7825, -1.5366], [0.0831, -1.2614, -2.4793], [-0.3917, 1.7525, 3.0362]],
  "charge": 0,
  "homo_lumo_gap_ev": [6.591, 8.052],
  "e_above_lowest_kj_mol": 264.6
}



[4]
{
  "formula": "C5H11CuO4",
  "method": "ωB97M-V with the def2-TZVPD basis set",
  "symbols": ["O", "C", "C", "O", "C", "C", "O", "C", "Cu", "H", "H", "H", "H", "H", "H", "H", "H", "H", "O", "H", "H"],
'''

-- To do --
The reader should return the lines above character by character.

-- Reply --
20
Properties=species:S:1:pos:R:3:mulliken_charge:R:1 method="wB97M-V/def2-TZVPD" e_lumo_ev=-1.06 spin_multiplicity=1 largest_force_ev_per_a=4.6 total_charge=0 total_energy_ha=-1348.57159 homo_ev=-8.46 mol_weight_g_mol=515.86 gap_ev=7.41
C 2.09542 0.41406 0.11863 -0.49
C 1.53086 -0.52595 -0.75182 0.68
C 0.53813 -1.13007 -0.05524 -0.25
C 2.12082 -0.99417 -1.98914 -0.33
C 1.38732 1.12126 2.37776 -0.78
C -3.57184 0.03736 -1.20038 -0.63
C -3.59247 -0.58861 0.07296 -0.32
N 0.39440 -0.56724 1.15840 -0.82
N 1.25157 0.37823 1.15814 0.72
O 2.97753 -0.41114 -2.60908 -0.49
I -2.65384 2.01768 -1.63189 -0.01
I -0.67799 -2.71550 -0.52213 0.20
I -3.16263 0.52072 1.69744 0.20
H 3.01705 0.92590 0.05841 0.47
H 1.74751 -1.94604 -2.48233 0.23
H 0.39623 1.02674 3.02692 0.23
H 2.15040 0.74416 3.03559 0.35
H 1.61920 2.29256 2.37585 0.28
H -4.51995 -0.07582 -1.73390 0.46
H -3.04771 -0.52411 -2.10418 0.29

=====

[1]
{
  "formula": "C5H11ClN3O2",
  "method": "ωB97M-V with the def2-TZVPD basis set",
  "symbols": ["C", "C", "C", "C", "C", "N", "N", "N", "O", "O", "Cl", "H", "H", "H", "H", "H", "H", "H", "H", "H", "H", "H"],
  "positions_angstrom": [[0.3063, 0.0233, -3.0475], [-0.5293, -1.1943, -2.5546], [0.9127, 0.1215, -1.6397], [-1.3302, 1.5439, 2.1988], [0.7423, 0.3459, 2.4624], [-0.2790, -1.8025, 0.9747], [0.1264, -1.0316, -1.2206], [-0.1593, -1.3180, -0.0454], [-0.6917, 0.4730, 2.6709], [1.0522, -1.0730, 2.3324], [-1.3865, 1.6075, 0.4183], [0.8782, -0.2663, -3.9364], [-0.2447, 1.0005, -3.2764], [-1.5635, -1.0722, -2.3985], [-0.3495, -2.0639, -3.1493], [1.8987, -0.2157, -1.5243], [0.6834, 1.1385, -1.3242], [0.8278, -1.6109, 3.0965], [-1.0268, 2.5849, 2.6212], [-2.4637, 1.3796, 2.5418], [1.0550, 0.8242, 1.5049], [1.5415, 0.6057, 3.2950]],
  "charge": 1,
  "homo_lumo_gap_ev": 10.301,
  "e_above_lowest_kj_mol": 0.0
}



[2]
{
  "formula": "C5H11ClNO",
  "method": "ωB97M-V with the def2-TZVPD basis set",
  "symbols": ["C", "C", "C", "C", "C", "N", "O", "Cl", "H", "H", "H", "H", "H", "H", "H", "H", "H", "H", "H"],
  "positions_angstrom": [[1.8571, -0.3840, -0.3723], [0.1853, 1.8630, -0.4425], [-0.7594, -0.3083, -1.4172], [-0.6786, -1.4237, 1.2807], [0.0196, 0.3740, -0.3388], [-0.3674, 0.0024, 1.0517], [2.2248, -1.0654, -1.2470], [2.6982, 0.1303, 1.0341], [-0.7664, 2.3720, -0.2845], [0.5363, 2.1317, -1.4347], [0.9017, 2.2393, 0.2843], [-0.4916, 0.1190, -2.3790], [-1.8312, -0.1626, -1.2774], [-0.5504, -1.3732, -1.4652], [-0.7985, -1.6102, 2.3468], [-1.5965, -1.7012, 0.7707], [0.1343, -2.0396, 0.9059], [-1.1682, 0.5753, 1.3508], [0.4510, 0.2611, 1.6336]],
  "spin_multiplicity": 3,
  "charge": 1,
  "homo_lumo_gap_ev": [6.571, 8.223],
  "e_above_lowest_kj_mol": 8.1
}



[3]
{
  "formula": "C5H11ClNOP",
  "method": "ωB97M-V with the def2-TZVPD basis set",
  "symbols": ["C", "C", "C", "C", "C", "N", "O", "P", "Cl", "H", "H", "H", "H", "H", "H", "H", "H", "H", "H", "H"],
  "positions_angstrom": [[-1.2418, 0.2789, 0.3526], [1.0560, -0.9282, 0.0919], [-0.0945, -0.0457, -0.5519], [0.4294, 1.3122, -1.1857], [-0.7216, -0.9009, -1.6903], [0.1060, 1.1395, 2.3047], [1.7505, -0.3234, 1.1597], [1.2054, 0.0568, 2.6856], [-0.0252, -1.6503, 2.8732], [-1.4871, 1.3134, 0.3400], [-1.9603, -0.4397, 0.6719], [0.5195, -1.7071, 0.5072], [1.7905, -1.2807, -0.6284], [1.4574, 1.1403, -1.5670], [0.5182, 1.9296, -0.2998], [-0.3005, 1.6158, -1.9018], [-1.3899, -0.2191, -2.1823], [-1.3033, -1.7825, -1.5366], [0.0831, -1.2614, -2.4793], [-0.3917, 1.7525, 3.0362]],
  "charge": 0,
  "homo_lumo_gap_ev": [6.591, 8.052],
  "e_above_lowest_kj_mol": 264.6
}



[4]
{
  "formula": "C5H11CuO4",
  "method": "ωB97M-V with the def2-TZVPD basis set",
  "symbols": ["O", "C", "C", "O", "C", "C", "O", "C", "Cu", "H", "H", "H", "H", "H", "H", "H", "H", "H", "O", "H", "H"],